Speaking of Huck, he is doing well. I weighed him this week and he has gained 2 1/2 lbs in a month and is now 11.2 lbs. The expected weight gain at this age is 4-7 oz a week, so he exceeded that by gaining 10 oz a week! I can tell that he is nursing better, his latch is more consistent and I am much more comfortable. I don't want to jump out of my skin each time he latches on. I have been able to feed him several times a day without the suplimenter and am only pumping 1-2 times a day. I can finally see the end of the SNS in sight, although I'll save the celebration until it is retired for good. I have a love-hate relationship with the thing.

• Unrelated to this article: materials data:
<<<
Entry from Materials Project: a relaxed YbBPd3 crystal (r²SCAN).

Cell and atoms, written as POSCAR:
```
YbBPd3
1.0
-0.719 4.191 0.209
-4.148 -0.742 0.610
0.637 -0.101 4.208
B Pd Yb
1 3 1
Cartesian
-2.115 1.674 2.514 B
-2.433 1.725 0.410 Pd
-0.041 2.045 2.209 Pd
-1.755 -0.421 2.409 Pd
0.000 0.000 0.000 Yb
```

The calculation puts the total energy at -23.2090 eV per atom. The value obtained for the total magnetization is 0.00 μB per formula unit. The space-group type is Pm-3m. The value obtained for the density is 10.8 g/cm³.

***

Entry from Materials Project: a relaxed PmB3 crystal (r²SCAN).

Cell and atoms, written as POSCAR:
```
PmB3
1.0
5.578 0.000 0.000
-2.789 4.830 0.000
0.000 0.000 3.462
B Pm
6 2
Cartesian
4.685 0.516 2.596 B
1.896 4.315 0.865 B
2.789 3.799 2.596 B
-1.896 4.315 0.865 B
0.893 0.516 2.596 B
0.000 1.031 0.865 B
2.789 1.610 0.865 Pm
0.000 3.220 2.596 Pm
```

The calculation puts the total energy at -13.0272 eV per atom. The value obtained for the total magnetization is 0.00 μB per formula unit. The space-group type is P6_3/mmc. The value obtained for the density is 6.3 g/cm³.

***
>>>

I hate the additional work, the difficulty of getting it placed correctly in his mouth, the cleaning... but I am grateful for it's existence because it allowed me to continue breastfeeding. For me, breastfeedingis about so much more than just feeding. Outside of the nutritional and health benifits, not to mention financially, it is about an emotional connection. I love that time when it is just the two of us- me stroking his soft hair, snuggling him close, kissing the top of his head... him reaching his hand up to my chest, grabbing onto my finger, looking up at me... With the other two I especially enjoyed coming home from work and cuddling up together to reconnect. So while nursing is going better, poor baby has had a cold this week. It started last weekend with lots of congestion and a cough. It is a deep, junky chest cough too. You just know it hurts hom sometimes. In the beginning he was so confussed by it all- the look on his face was so pitiful. He just wanted to be held all day. Now the congestion has improved some so I don't need to suction his nose as much and the cough is mostly at night. (By the way, he is sleeping pretty well- I'll usually get a 5-6 hour stretch between feedings at night.) I got the cold early this week. The two of us sound pretty pathetic at night! I'm pretty sure it came from a certain big sister who thinks she needs to be 2 inches away from his face when she speaks to him...
One of the things I love about preschoolers is their rapidly expanding vocabulary and the way they make things up if they don't have a word for what they want to say. The Duchess likes to change the part of speech to suite her needs- two of my favorites right now are: sharp (v) to sharpen a pencil. "Can you sharp this pencil for me?" and inside-out (v) to turn right-side out, "Can you inside-out my pants for me?" She is also know to use some mature sounding phrases. The other day her Dad asked her if it was cold outside and she answered "It is starting to warm up out there." She has just a few weeks left of school. I know she is going to miss her friends, Chloe, Kennedy and Bethel. The 4 girls have really bonded this year.

Bubba has had a fun month at school with feild trips. The older kids have done standardized testing so they have sent the Kindergartners out of the building. They went to the zoo, a farm and today they are walking to a nearby plant nursery. Coming up they also have a carnival, Buddy Fun Day, Splash Day and a last day of school party. Whew! It is pretty amazing to see how much he has learned this year. He is reading independently, writing sentences and doing math. We are so lucky that he had such a great teacher. Not because of the acedemic acheviements but because of the balanced approach she has to teaching. She really seems to understand what these 5-6 year-olds need- and it is NOT sitting at a desk for most of the day, it is NOT doing homework everyday, and it is NOT having perfect behavior all the time :-)

The Hubby got a new car yesterday! It is a Buick Enclave. It is pretty and fancy and is the first New Car he has ever had. The Caddilac was going to need more maintanence and it just wasn't worth putting more money into it. If I can figure out how to upload a picture from my phone to Blogger I will post it.

The other manager at his work quit so he has had more responsibility handed over to him. It is not a bad thing because the other girl didn't really do a very good job, but it does require more time from him.
Jodey got a new car last week too! He had been driving my 11 year old Nissan Sentra and the check engine light came on so we decided it wasn't worth putting any money into it.
ReplyDeletePoor buddy with the congestion. It's so pitiful when their little noses are so tiny.
I'm going to email you a link to a blog I've been reading about a family who is living in Haiti and working at a clinic with midwives who spend a large portion of their classes on newborn care dispelling false cultural "wisdom" about breastfeeding. I think you'll find it really interesting.